iPhone on Fire(works)

Let’s get this blog off with a bang! There, I said it.

Enough of that.

I’ve seen my fair share of fireworks displays over the years and I’ve taken photos of most. They are such grand, festive events and the individual bursts are so beautiful. I just want to capture it all. But I rarely get a shot I really love. I am always humbled the next day by beautiful fireworks shots taken by the pros.

The thing is, I don’t really want to haul my big DSLR and tripod to the beach. I’m already loaded up with blanket, chair, and snacks. But neither am I ready to give up on getting some shots of my own. Wouldn’t it be cool, I thought, if I went the opposite direction and could get some decent fireworks photos on my iPhone.

Turns out, I can.

Next to the entry, the page also holds materials data:
- - -
# 1
Density functional theory data (PBEsol) for a geometry-optimized InPSeBr2 structure.

abc: 5.2252 5.2252 5.4312
angles: 90.00 90.00 90.00
Element x y z (fractional)
1 In 0.0000 0.0000 0.0000
2 P 0.5000 0.5000 0.5000
3 Se 0.0000 0.0000 0.5000
4 Br 0.0000 0.5000 0.0000
5 Br 0.5000 0.0000 0.0000

## Properties
Space group: No. 123
Energy relative to the elements, uncorrected: 480 meV per atom
Size of the total moment: 1.8 μB per formula unit

---

# 2
Density functional theory data (PBEsol) for a geometry-optimized Ag2C structure.

abc: 2.8237 2.8237 20.7888
angles: 90.00 90.00 90.00
Element x y z (fractional)
1 Ag 0.0000 0.2500 0.3083
2 Ag 0.0000 0.2500 0.4417
3 Ag 0.0000 0.7500 0.5583
4 Ag 0.0000 0.7500 0.6917
5 Ag 0.5000 0.2500 0.0583
6 Ag 0.5000 0.2500 0.1917
7 Ag 0.5000 0.7500 0.8083
8 Ag 0.5000 0.7500 0.9417
9 C 0.0000 0.2500 0.8750
10 C 0.0000 0.7500 0.1250
11 C 0.5000 0.2500 0.6250
12 C 0.5000 0.7500 0.3750

## Properties
Raw total energy: -3.88 eV per atom
Space group: No. 141
Size of the total moment: 0.0 μB per formula unit

---

# 3
Density functional theory data (PBEsol) for a geometry-optimized CrAu3 structure.

abc: 4.7171 5.5996 4.9433
angles: 90.00 90.00 90.00
Element x y z (fractional)
1 Cr 0.2500 0.2500 0.1620
2 Cr 0.7500 0.7500 0.8380
3 Au 0.2500 0.9995 0.6656
4 Au 0.2500 0.5005 0.6656
5 Au 0.2500 0.7500 0.1580
6 Au 0.7500 0.0005 0.3344
7 Au 0.7500 0.2500 0.8420
8 Au 0.7500 0.4995 0.3344

## Properties
Raw total energy: -5.41 eV per atom
Space group: No. 59
Size of the total moment: 3.9 μB per formula unit


Entry one
Entry from the Alexandria database: ZrNbCl3 after structural relaxation (GGA-PBE).

Computed properties:
DOS at the Fermi energy	7.2	states/eV/f.u.
total magnetic moment	4.37	Bohr magnetons per cell
space group	Pm-3m

Lattice parameters (Å, degrees): 5.048 5.048 5.048 90.00 90.00 90.00
Element x y z (fractional)
Zr: 0.000 0.000 0.000
Nb: 0.500 0.500 0.500
Cl: 0.000 0.000 0.500
Cl: 0.000 0.500 0.000
Cl: 0.500 0.000 0.000



Entry two
Entry from the Alexandria database: ZrNbCl3 after structural relaxation (GGA-PBE).

Computed properties:
DOS at the Fermi energy	7.3	states/eV/f.u.
total magnetic moment	3.25	Bohr magnetons per cell
space group	Pm-3m

Lattice parameters (Å, degrees): 4.909 4.909 4.909 90.00 90.00 90.00
Element x y z (fractional)
Zr: 0.000 0.000 0.000
Nb: 0.500 0.500 0.500
Cl: 0.000 0.500 0.500
Cl: 0.500 0.000 0.500
Cl: 0.500 0.500 0.000



Ordering by calculated energy gives the sequence entry one, entry two, with the first entry being the most stable.


(1)
Below is crystalline HgPbSO at its relaxed geometry, with properties calculated at the GGA-PBE level.

Values from the calculation:
Electronic total energy (eV/atom): -3.636
V (Å³ per cell): 735
Density (Mg/m³): 8.234

Cell lengths 6.4611, 7.4463, 15.2862 Å; angles 90.00, 90.00, 90.00 degrees
Space group Pbca (No. 61)
Symmetry-distinct sites (fractional):
Hg 0.0698 0.2390 0.1878 x8
Pb 0.0935 0.2434 0.9284 x8
S 0.2220 0.0129 0.0856 x8
- - -

There are 3 challenges to taking nice fireworks photos with the iPhone:

  1. Focusing on the fireworks display

  2. Getting the right exposure

  3. Avoiding camera movement

As you might guess, using the iPhone camera after dark to photograph something that moves quickly and disappears is “pushing the envelope” of what the camera can do. Usually (on my old iPhone 5) the camera has to hunt for a moment to find something to lock focus on. By the time it does, the cool part of the display is gone. If I’m lucky, I get something sort of nice as it’s burning out. If I’m not, I get a bright, blurry blob that looks more like a lava lamp than a thousand dollar mortar burst.

The way to finesse this problem is to lock the camera’s focus and exposure. Here is how.

Once you’ve settled into your viewing spot, set up your camera position to center on the fireworks display (more coming on this). As the fireworks begin, with your camera app launched, watch for a particularly large burst. On the iPhone display, touch and hold the center of the burst (which may not be in the center of the screen) until you get a yellow AE/AF that shows you locked in that focus and exposure. This disables the camera autofocus so it doesn’t have to lock in on something before you can trip the shutter.

Now we’ve got the focus adjusted to the distance of the display and we should have the exposure adjusted and locked at the same time. But what I found is that manually darkening the exposure a little more helps improve detail in the fireworks.

With the AE/AF LOCK on, there is a small yellow slider to the right of the target square. By sliding up and down you can fine tune the exposure. Sliding down a bit will darken the exposure so that even the brightest highlights of the display will have more detail and stand out against a dark, black sky.

Remember I mentioned “setting up” the camera? Well, that’s what makes it all work. Setting up the camera; on a tripod.

Yeah, the tripod seems very un-iPhone like. Kind of anti-mobile. And you have to attach it, somehow. But there are cases (I use an iPro lens case), phone grips like the GLIF, and even a selfie stick can be braced to take a steadier picture. Of course, in a pinch, you can hold the camera tightly and brace your elbows on your knees, or set it on a fence or chair back to steady it.

The point is that limiting camera movement is especially important when shooting fireworks because the shutter will be open longer than it would in bright sunlight. Any camera jiggle will show up as a blurred image. And when you’re aiming at a moving object, the tendency is to move your view with it. Much better to have the iPhone aimed steady at a fixed place in the sky.

So again, get the focus and exposure properly adjusted and locked, then get your iPhone steady and fire away. You should have much better success getting great fireworks pictures that you really want to share.

Take it up a notch.

Fireworks shows are also a fun time to try out new tools and techniques. If you are feeling adventurous, here are some additional spins on fireworks photography.

Technique - The iPhone also lets you capture the show in more dynamic ways. You can shoot a burst of photos and put them together after as an animation. Or you can take a slo-mo video on the newer iPhones. They both make for interesting additions in a presentation or iCloud share.

Apps - There are several good photo apps that offer more control than the native Camera app. Apps like Moment, Halide, Camera+ and PureShot allow you to independently lock the focus and the exposure as well as adjust sensitivity and shutter functions. PureShot even lets you save files to a higher quality .tif file format.

Lenses - Using add-on lenses offers a variety of interesting options. I use an Moment lens set. Sandmarc and OlloClip are other popular options. Having a telephoto lens is nice for closer shots of the displays, and a wide-angle option allows you to get fireworks displays in the context of a whole scene. Especially nice when you are shooting across water and the fireworks reflections create silhouettes of the crowd. Really cool.

Get Crazy.

Slow Shutter is an app that deserves its own shoutout. I use it a lot for night photography because of how it offers tools to create light trails and blurs with some level of control. It is especially neat when there are bright lights (cars, neon signs . . . fireworks) against dark backgrounds. There are other apps like it, but I started with Slow Shutter and love it.

Waterlogue is a second tier app, but one that I always try when I’m just not happy with my straight shots. What makes it great for fireworks is that you can get some really interesting images from those lava lamp shots when the camera didn’t focus or some running kid bumped your tripod. It’s very fun and if you have an eye for watercolor style, it could be your first tier app.

I hope you found a couple of gold nuggets in this post. Please share with your friends and let me know what worked best for you.

If you would like a little more detail along with some examples of each point and links to the references in the post, you can download a PDF here.

Thanks for reading my blog and I hope to see you back again soon.


Making room for the good stuff


A camera is a camera is a camera is a . . .